## Source
Entry 1:
The following is a GGA-PBE calculation of a geometry-optimized TbFe2Si2 structure, from the Materials Project database.

a b c (Å): 3.974 3.974 5.538
angles (deg): 111.03 111.03 90.00
Positions (direct):
1 Tb 0.000 0.000 0.000
2 Fe 0.250 0.750 0.500
3 Fe 0.750 0.250 0.500
4 Si 0.635 0.635 0.270
5 Si 0.365 0.365 0.730

Summary:
Formation enthalpy at 0 K in meV/atom: -647
Calculated total energy in eV/cell: -35.8
Space group: No. 139


Entry 2:
The following is a GGA-PBE calculation of a geometry-optimized Tb3Fe2Si7 structure, from the Materials Project database.

a b c (Å): 12.450 12.450 4.095
angles (deg): 90.00 90.00 161.32
Positions (direct):
1 Tb 0.097 0.903 0.500
2 Tb 0.467 0.533 0.500
3 Tb 0.782 0.218 0.000
4 Fe 0.655 0.345 0.000
5 Fe 0.910 0.090 0.000
6 Si 0.371 0.629 0.000
7 Si 0.563 0.437 0.000
8 Si 0.872 0.128 0.500
9 Si 0.003 0.997 0.000
10 Si 0.193 0.807 0.000
11 Si 0.291 0.709 0.500
12 Si 0.693 0.307 0.500

Summary:
Formation enthalpy at 0 K in meV/atom: -573
Calculated total energy in eV/cell: -76.2
Space group: No. 38


What is the formula in the first record? TbFe2Si2

=====

# 1
Computed, not measured: Li3Mn5OF11 after structural relaxation at the PBE with a Hubbard U level of DFT.

Geometry as extended XYZ:
```
20
Lattice="5.413 0.032 -0.028 -2.724 1.557 4.823 2.633 -7.840 4.794" Properties=species:S:1:pos:R:3 pbc="T T T"
Li -0.046 -3.186 6.859
Li 5.369 -3.255 2.723
Li 5.365 -6.257 7.406
Mn -0.138 0.023 2.066
Mn 0.031 0.061 5.256
Mn 2.650 -4.655 5.028
Mn 2.672 -1.572 4.488
Mn 5.437 -6.298 4.533
O 3.472 0.223 1.176
F 0.775 -4.747 5.976
F 0.767 -1.747 1.188
F 1.062 -1.622 6.023
F 1.566 -0.011 3.559
F 1.830 -3.256 3.552
F 1.708 -6.428 8.437
F 3.509 -2.961 5.969
F 3.663 -6.184 6.058
F 4.345 -4.699 3.624
F 4.610 -1.436 3.639
F 4.581 -4.501 8.342
```

Distance to the lowest polymorph of the same formula, meV/atom: 8
Final energy, eV/atom: -6.037
Size of the total moment, μB/cell: 25.0
Theoretical density, g cm⁻³: 3.52
Space-group type: No. 1
Total energy after the MP2020 corrections, eV per atom: -6.74
ΔE_f, meV per atom: -2865

# 2
Computed, not measured: Co5P6O22 after structural relaxation at the PBE with a Hubbard U level of DFT.

Geometry as extended XYZ:
```
66
Lattice="12.244 0.000 -3.139 0.000 6.652 0.000 -0.048 0.000 10.397" Properties=species:S:1:pos:R:3 pbc="T T T"
O 10.424 3.628 -0.901
O 12.208 1.351 -1.666
O -0.009 1.928 3.770
O 12.184 1.975 3.533
O -0.033 1.398 8.969
O 10.262 6.096 -0.254
O 10.257 3.508 1.989
O 8.912 1.316 -1.685
O 10.400 6.351 4.297
O 10.238 3.882 4.944
O -0.012 5.301 8.924
O 12.205 4.724 3.488
O 0.012 4.677 3.726
O 12.228 5.254 -1.710
O 1.772 3.024 8.160
O 1.934 0.556 7.513
O 1.939 3.144 5.269
O 3.284 5.336 8.943
O 1.796 0.302 2.961
O 1.958 2.770 2.314
O 2.961 5.224 6.246
O 1.963 0.182 0.071
O 3.308 4.643 3.745
O 4.586 1.268 8.620
O 2.985 4.754 1.047
O 4.491 0.844 5.635
O 4.454 3.364 5.587
O 9.235 1.428 1.013
O 4.610 2.058 3.421
O 4.515 2.482 0.437
O 4.478 6.614 0.388
O 5.616 4.504 2.191
O 6.580 2.149 5.068
O 7.718 0.038 6.870
O 7.681 4.170 6.822
O 7.586 4.595 3.837
O 6.604 1.178 -0.131
O 7.742 3.288 1.672
O 7.705 5.808 1.623
O 9.211 1.898 6.211
O 7.610 5.384 -1.361
O 8.888 2.010 3.514
O 10.233 6.470 7.188
O 5.592 5.475 7.389
P 3.105 4.117 5.182
P 3.129 5.862 -0.017
P 5.081 2.047 4.884
P 7.091 5.373 7.573
P 5.105 1.279 -0.315
P 1.041 1.583 2.628
P 7.115 4.605 2.375
P 9.067 0.790 7.276
P 9.091 2.536 2.077
P 11.155 5.069 4.630
P 1.017 1.743 7.827
P 11.179 4.909 -0.568
Co 10.542 1.729 -0.541
Co 10.518 1.597 4.657
Co 8.150 6.637 -0.004
Co 8.126 3.342 5.195
Co 4.070 3.310 2.064
Co 4.046 0.016 7.262
Co 1.678 5.055 2.601
Co 0.000 0.000 0.000
Co 1.654 4.923 7.800
Co -0.024 3.326 5.199
```

Final energy, eV/atom: -6.788
Size of the total moment, μB/cell: 38.0
Theoretical density, g cm⁻³: 3.27
Space-group type: No. 14
Total energy after the MP2020 corrections, eV per atom: -7.49
ΔE_f, meV per atom: -2134
## To do
Retype the entries above character by character.
## Solution
Entry 1:
The following is a GGA-PBE calculation of a geometry-optimized TbFe2Si2 structure, from the Materials Project database.

a b c (Å): 3.974 3.974 5.538
angles (deg): 111.03 111.03 90.00
Positions (direct):
1 Tb 0.000 0.000 0.000
2 Fe 0.250 0.750 0.500
3 Fe 0.750 0.250 0.500
4 Si 0.635 0.635 0.270
5 Si 0.365 0.365 0.730

Summary:
Formation enthalpy at 0 K in meV/atom: -647
Calculated total energy in eV/cell: -35.8
Space group: No. 139


Entry 2:
The following is a GGA-PBE calculation of a geometry-optimized Tb3Fe2Si7 structure, from the Materials Project database.

a b c (Å): 12.450 12.450 4.095
angles (deg): 90.00 90.00 161.32
Positions (direct):
1 Tb 0.097 0.903 0.500
2 Tb 0.467 0.533 0.500
3 Tb 0.782 0.218 0.000
4 Fe 0.655 0.345 0.000
5 Fe 0.910 0.090 0.000
6 Si 0.371 0.629 0.000
7 Si 0.563 0.437 0.000
8 Si 0.872 0.128 0.500
9 Si 0.003 0.997 0.000
10 Si 0.193 0.807 0.000
11 Si 0.291 0.709 0.500
12 Si 0.693 0.307 0.500

Summary:
Formation enthalpy at 0 K in meV/atom: -573
Calculated total energy in eV/cell: -76.2
Space group: No. 38


What is the formula in the first record? TbFe2Si2

=====

# 1
Computed, not measured: Li3Mn5OF11 after structural relaxation at the PBE with a Hubbard U level of DFT.

Geometry as extended XYZ:
```
20
Lattice="5.413 0.032 -0.028 -2.724 1.557 4.823 2.633 -7.840 4.794" Properties=species:S:1:pos:R:3 pbc="T T T"
Li -0.046 -3.186 6.859
Li 5.369 -3.255 2.723
Li 5.365 -6.257 7.406
Mn -0.138 0.023 2.066
Mn 0.031 0.061 5.256
Mn 2.650 -4.655 5.028
Mn 2.672 -1.572 4.488
Mn 5.437 -6.298 4.533
O 3.472 0.223 1.176
F 0.775 -4.747 5.976
F 0.767 -1.747 1.188
F 1.062 -1.622 6.023
F 1.566 -0.011 3.559
F 1.830 -3.256 3.552
F 1.708 -6.428 8.437
F 3.509 -2.961 5.969
F 3.663 -6.184 6.058
F 4.345 -4.699 3.624
F 4.610 -1.436 3.639
F 4.581 -4.501 8.342
```

Distance to the lowest polymorph of the same formula, meV/atom: 8
Final energy, eV/atom: -6.037
Size of the total moment, μB/cell: 25.0
Theoretical density, g cm⁻³: 3.52
Space-group type: No. 1
Total energy after the MP2020 corrections, eV per atom: -6.74
ΔE_f, meV per atom: -2865

# 2
Computed, not measured: Co5P6O22 after structural relaxation at the PBE with a Hubbard U level of DFT.

Geometry as extended XYZ:
```
66
Lattice="12.244 0.000 -3.139 0.000 6.652 0.000 -0.048 0.000 10.397" Properties=species:S:1:pos:R:3 pbc="T T T"
O 10.424 3.628 -0.901
O 12.208 1.351 -1.666
O -0.009 1.928 3.770
O 12.184 1.975 3.533
O -0.033 1.398 8.969
O 10.262 6.096 -0.254
O 10.257 3.508 1.989
O 8.912 1.316 -1.685
O 10.400 6.351 4.297
O 10.238 3.882 4.944
O -0.012 5.301 8.924
O 12.205 4.724 3.488
O 0.012 4.677 3.726
O 12.228 5.254 -1.710
O 1.772 3.024 8.160
O 1.934 0.556 7.513
O 1.939 3.144 5.269
O 3.284 5.336 8.943
O 1.796 0.302 2.961
O 1.958 2.770 2.314
O 2.961 5.224 6.246
O 1.963 0.182 0.071
O 3.308 4.643 3.745
O 4.586 1.268 8.620
O 2.985 4.754 1.047
O 4.491 0.844 5.635
O 4.454 3.364 5.587
O 9.235 1.428 1.013
O 4.610 2.058 3.421
O 4.515 2.482 0.437
O 4.478 6.614 0.388
O 5.616 4.504 2.191
O 6.580 2.149 5.068
O 7.718 0.038 6.870
O 7.681 4.170 6.822
O 7.586 4.595 3.837
O 6.604 1.178 -0.131
O 7.742 3.288 1.672
O 7.705 5.808 1.623
O 9.211 1.898 6.211
O 7.610 5.384 -1.361
O 8.888 2.010 3.514
O 10.233 6.470 7.188
O 5.592 5.475 7.389
P 3.105 4.117 5.182
P 3.129 5.862 -0.017
P 5.081 2.047 4.884
P 7.091 5.373 7.573
P 5.105 1.279 -0.315
P 1.041 1.583 2.628
P 7.115 4.605 2.375
P 9.067 0.790 7.276
P 9.091 2.536 2.077
P 11.155 5.069 4.630
P 1.017 1.743 7.827
P 11.179 4.909 -0.568
Co 10.542 1.729 -0.541
Co 10.518 1.597 4.657
Co 8.150 6.637 -0.004
Co 8.126 3.342 5.195
Co 4.070 3.310 2.064
Co 4.046 0.016 7.262
Co 1.678 5.055 2.601
Co 0.000 0.000 0.000
Co 1.654 4.923 7.800
Co -0.024 3.326 5.199
```

Final energy, eV/atom: -6.788
Size of the total moment, μB/cell: 38.0
Theoretical density, g cm⁻³: 3.27
Space-group type: No. 14
Total energy after the MP2020 corrections, eV per atom: -7.49
ΔE_f, meV per atom: -2134